There are 7 different types of dashboard widgets. Each except the list widget and the timeline widget is on display by default in your account. This article will first show you how to make your own widget, and then go through each type of widget and show you how to best summarize your data.
Making your own Dashboard Widget
Dashboard widgets can be made by 1) Copying a widget and then editing it, 2) By saving a view as a widget, or 3) By using the + button on the dashboard editor to create a widget from scratch.
Method 1: Copying a widget in order to edit it:
This is a good way to 'look under the hood' of a widget and see what makes it tick. To copy and then edit a widget, click on the three dots to the upper left of the widget and choose 'Copy and Edit'.
You can also click the dashboard ( ) button on the left side of the dashboard, then click the three dots next to the widget you'd like to copy and choose 'Copy and edit'.
The widget editor will open. From here you can change what is displayed by the widget the same way you edit a view.
Rename the copied widget something descriptive by changing the view name field:
Then press the back button to the left of the name to go back to the dashboard. The widget will now be displayed in the list of available widgets. Note that since you altered the default dashboard, the name of your dashboard now appears as 'Ad Hoc Dashboard'.
Method 2: Saving a View as a widget
This is the method I'll use in this article to make the widgets.
Starting with an existing view like All Properties or All Stewardship Sites, you can begin adding filters and fields (see this article or this article on building views if you're unfamiliar with them). After you build a view that displays the information you want to be summarized in the widget, click the save button.
Change the 'Save As' drop down menu to 'Dashboard'
Give the view a name and click 'OK'
Method 3: Making a new widget from scratch.
Click on the plus button next to 'Widgets in this Layout' from the dashboard pane.
Choose 'Create new widget'
You can now start building the widget
Adding a widget to the dashboard
Once your widget is created, you'll need to add it to the dashboard. Click on the dashboard button to open the side panel, and then click on the '+' button:
Choose 'Add existing widget', then choose the widget you want to add from the drop down menu:
Widget menu items
Once your widget is added to the dashboard, you can click on the three dots next to it to see additional options:
To hide it, click on the three dots next to the widget in the dashboard menu and select 'Remove from layout'. This will remove the widget from the layout, but you can always add it back again by using the 'add widget' menu.
Copy and edit will create a copy of the widget for editing -- useful if you want to preserve the widget but make something new based off of it.
Edit will edit the widget.
Shared indicates whether the widget has been shared with your organization.
If any of these are greyed out, it means they are unavailable because you do not have the privileges to make changes. Copy the widget to make your own copy, then save it as something new and add it to your dashboard. You should then have access to the inaccessible menu items.
Types of Widgets
There are 5 types of widgets available. The difference between the first two types of widgets (count widgets) are simply whether you are grouping the items or not. I.e. the difference between this widget:
and this widget:
is that the second widget is grouped on Property Interest. Here is an article which reviews how grouping works in Landscape. All chart widgets need to also incorporate grouping.
Also note that you can incorporate as many summed columns as you need in a widget by clicking the button at the bottom of the summable field in grid view (example below).
Type 1: Count Widget
The count widget displays the count of records as well as a sum field, if applicable. To make your own count widget, just create a view with a countable item (anything!) and a field which can be summed (optional). If you don't include the sum field, it won't be displayed on the widget. Here's a view of all properties which displays only those with an interest of 'Conservation Easement', and the donated value of each easement. Clicking on the sum () button at the bottom of the column will enable the sum field in the widget.
Type 2: Grouped Widget
This widget is made in the same way as the count widget, but simply adds groups to what is being counted to display more than one category at a time. In the example above, rather than looking at all conservation values and summing them together, it's breaking everything down by conservation value type.
For example, starting with a view of All Properties which includes the 'Donated Value' column, click the three dots in the upper left and select 'Show Grouping'
By default, Landscape will group based on the first column. To change that, click on the item just to the right of the view settings icon and select what you want to group the list by.
Now that it's grouped correctly and the sum field has been turned on, we can save it as a dashboard widget, and it will appear like this: (don't forget that you'll have to make the widget visible after you save it!)
Type 3: Pie/Bar Chart Widget
Pie Chart widgets work the same as Grouped Widgets. Any time you've created a view which can be grouped and summed (as in the previous example), you can save it as a Graph. Just like with the previous two widgets, you can opt not to include a sum field. So, with the previous example where I grouped by Interest, select the three dots in the top menu and click 'Display as Chart'
The view will be displayed as a chart. By default, it will choose a bar chart, however, if you want it to display as a pie chart, click 'BAR' on the right and change the drop down menu to 'Pie'. In this case a bar chart isn't helpful because it can't display the count and the value since the numbers are too disparate.
To add color, click on the swatches to the left of each group and select or enter the color you want
The chart above has an outer and inner circle to display both the count of the categories and the sum of the donated value, respectively. If you only want the count to display, switch back to form view and click the sum button at the bottom of the summed column to deactivate it.
=====
Record 1
Density functional theory data (GGA-PBE) for a geometry-optimized TbSm3Ir8 structure.

Energy relative to the elements ... -0.758 eV per atom
Total DFT energy (no corrections) ... -8.2307 eV/atom
Total magnetization ... 0.0 μB/cell
Symmetry ... R3m, No. 160

Cell lengths 5.402, 5.402, 9.349 Å; angles 73.21, 73.21, 60.00 degrees
Fractional positions:
1 Ir 0.437 0.937 0.189
2 Ir 0.938 0.938 0.686
3 Ir 0.937 0.437 0.189
4 Ir 0.437 0.437 0.189
5 Ir 0.188 0.188 0.437
6 Ir 0.688 0.688 0.937
7 Ir 0.938 0.438 0.686
8 Ir 0.438 0.938 0.686
9 Sm 0.000 0.000 0.001
10 Sm 0.375 0.375 0.875
11 Sm 0.500 0.500 0.500
12 Tb 0.875 0.875 0.375



Record 2
Density functional theory data (GGA-PBE) for a geometry-optimized Cs2K3Br4 structure.

Total DFT energy (no corrections) ... -2.8215 eV/atom
Total magnetization ... 0.2 μB/cell
Symmetry ... C2/m, No. 12
E_form (uncorrected) ... -1.522 eV per atom

Cell lengths 4.846, 8.556, 11.299 Å; angles 75.13, 77.62, 73.55 degrees
Fractional positions:
1 K 0.794 0.593 0.820
2 K 0.206 0.407 0.180
3 K 0.000 0.000 0.000
4 Cs 0.399 0.804 0.399
5 Cs 0.601 0.196 0.601
6 Br 0.602 0.703 0.093
7 Br 0.203 0.872 0.722
8 Br 0.398 0.297 0.907
9 Br 0.797 0.128 0.278



Record 3
Density functional theory data (GGA-PBE) for a geometry-optimized CaTc2Te structure.

Total DFT energy (no corrections) ... -6.2254 eV/atom
Total magnetization ... 0.0 μB/cell
Symmetry ... C2/m, No. 12
E_form (uncorrected) ... 0.243 eV per atom

Cell lengths 5.317, 5.317, 4.920 Å; angles 72.91, 72.91, 42.34 degrees
Fractional positions:
1 Ca 0.250 0.250 0.250
2 Tc 0.018 0.018 0.879
3 Tc 0.482 0.482 0.621
4 Te 0.750 0.750 0.750



Record 4
Density functional theory data (GGA-PBE) for a geometry-optimized NbGePC2 structure.

Energy relative to the elements ... 1.821 eV per atom
Total DFT energy (no corrections) ... -5.8878 eV/atom
Total magnetization ... 0.2 μB/cell
Symmetry ... P4/mmm, No. 123

Cell lengths 3.805, 4.955, 3.805 Å; angles 90.00, 90.00, 90.00 degrees
Each line ends with the local moment (μB).
Fractional positions:
1 C 0.500 0.000 0.000  0.02
2 C 0.000 0.000 0.500  0.02
3 Ge 0.000 0.000 0.000  0.00
4 Nb 0.500 0.500 0.500  -0.30
5 P 0.000 0.500 0.000  0.02



Record 5
Density functional theory data (GGA-PBE) for a geometry-optimized YMnCo structure.

Energy relative to the elements ... 0.104 eV per atom
Total DFT energy (no corrections) ... -7.4757 eV/atom
Energy relative to the lowest polymorph listed for this composition ... 173 meV per atom
Total magnetization ... 5.0 μB/cell
Symmetry ... I4mm, No. 107

Cell lengths 5.502, 5.502, 3.297 Å; angles 72.57, 72.56, 34.87 degrees
Each line ends with the local moment (μB).
Fractional positions:
1 Y 0.660 0.660 0.340  -0.09
2 Co 0.972 0.972 0.028  1.54
3 Mn 0.368 0.368 0.632  3.50



Record 6
Density functional theory data (GGA-PBE) for a geometry-optimized RbSrCu2I6 structure.

Total DFT energy (no corrections) ... -2.8386 eV/atom
Total magnetization ... 0.0 μB/cell
Symmetry ... R-3, No. 148
=====
If you'd like the chart to hide the count information and show only the summed field(s), uncheck 'Show Count Data'.
Type 4: Line Graph
A line graph widget is best utilized to show progress over time. In order to create a custom line graph widget, you'll need to group by custom categories, and define those categories as the intervals of time you want to group by.
For example, if I want to track monitoring count and hours over the course of the current year, I would first make a view of all completed site visits for 2020 (notice I've used floating dates so I don't have to do this again next year):
Turn on grouping:
Set the Grouped Column to the Date
Click on Group Settings
Choose 'Group on categories' and then select 'Add Category --> Custom'. You will now start building the time blocks you want for your line chart.
I wanted mine to display the entire year, so I made a category for each month. Give each category a label (this is what will appear on the x-axis of the chart) as well as a Minimum and Maximum date. This date can be floating or fixed.
After I click 'OK', my view now looks like this:
Note that I've included a column for hours, and have summed the column. This will allow the line chart to follow both count and hours with two separate lines. Also note that the months are appearing in alphabetical order, but don't worry, they'll appear in chronological order in the final chart.
Finally, select 'Display as Chart'
Set the type to Line if it doesn't open as one, and change the colors by clicking on the swatches. The summed column will be labeled on the right of the chart, the count on the left. Save your view as a Dashboard widget.
Type 5: Map Widget
A map widget can be used to show a summary of information on a map. Since maps also have limited interactivity, they can be used to navigate directly to an item by clicking on it and selecting 'go to result'. Any item which has geography associated with it can also be shown on a map widget. For example, you could have a map widget to track all known active issues, or a map widget to display all current leases.
Here's a view of issues with a severity of 'Staff Follow-Up':
To view it as a map, click the three dots below the view name and choose 'Display as Map'
The results will be displayed on a map. You can customize the layer appearance to suit the map. Save the view as a Dashboard widget with a descriptive name like "Issues with Staff Follow-up Needed".
Note: The fields you have activated in the grid view are the fields which will appear in the popup when you click an item in map view.
Learn more about creating custom map widgets here.
Type 6: List Widget
List widgets are simply compacted Views which you can view on the dashboard and use to navigate to specific records. We recommend having only one or two list widgets maximum, as they can clutter things up on your dashboard quickly! Because they'll have access to limited screen real estate, it's important to choose to display just the information that is relevant. Row height is fixed, and column width is dependent on the size of the widget and the number of other columns.
For example, here's a list widget of my incomplete obligations, with the name of the stewardship site, and the obligation. I could even remove the 'staff lead' column, since I know these are just my obligations:
To make a list widget, first make a widget as described above. If it's not already set, change the settings to 'Display as Grid', and check the box that says 'Show list of results in widget'.
List widgets respect grouping, counting, and sums, so if you want to group things or show sums by groups, you can do so:
Type 7: Timeline Widgets
If you create a timeline view of projects or tasks, you can save it is a widget on your dashboard. This may be useful if you want to see a timeline of tasks assigned to you: